The expression “to go against the grain” means to say or do things that are not usually said or done. One of the biggest organisational challenges is to develop a culture in which this is possible or even encouraged.
But people who go against the grain are hard to handle for a manager. Very often managers are looking for comfort. They do not like people who do not follow automatically and who ask cutting knife questions. But remember that it takes courage to go against the grain. And if you give these grainers the necessary space, they will be of great value to you and your team or company.
Why someone chooses to go against the Grain.
A first reason might just be personality and value-driven. Some people just do that. They will always question the status quo for different reasons. A lot of time these reasons will be positive. They just want to do well, move on, do better. They go the extra mile and they do not accept mediocrity or short-term solutions that will need to be revised later on. They tend to look ahead.
A second reason might be circumstantial. The circumstances force them to go against the grain. Everyone potentially can go against the grain. So if you see that someone does that, ask yourself what it is that makes him or her do that. If going against the grain is a new kind of behavior you should worry or at least be interested.
No. 1
Here is crystalline ZnGa8Ni6 at its relaxed geometry from Alexandria via LeMat-Bulk. Energies are from PBE.

Calculated values
Calculated volume, Å³ per atom: 14.115
Calculated density, g/cm³: 7.6
DFT formation energy, eV per atom: -0.388
Density of states at the Fermi level, states/eV/cell: 15.27

Cell lengths 7.0620, 7.0620, 14.7060 Å; angles 90.00, 90.00, 120.00 degrees
Space group R-3 (No. 148, hexagonal axes)
Unique sites:
Zn  0.0000  0.0000  0.0000 x3
Ga  0.0000  0.0000  0.3328 x6
Ga  0.0027  0.6754  0.1191 x18
Ni  0.9996  0.3365  0.0479 x18

No. 2
Here is crystalline Be2CdMo at its relaxed geometry from Alexandria via LeMat-Bulk. Energies are from PBE.

Calculated values
Calculated volume, Å³ per atom: 13.259
Calculated density, g/cm³: 7.1
DFT formation energy, eV per atom: 0.299
Density of states at the Fermi level, states/eV/cell: 2.87

Cell lengths 9.257, 2.681, 4.489 Å; angles 90.00, 107.79, 90.00 degrees
Space group Cm (No. 8)
Unique sites:
Be  0.000  0.000  0.000 x2
Be  0.201  0.500  0.317 x2
Cd  0.456  0.000  0.481 x2
Mo  0.242  0.000  0.858 x2

* * * * *

(1)
DFT (PBE) results for an optimized crystal structure of AlCu2Ni.

Computed properties:
**Calculated total energy**: -17.83 eV for the cell shown

Cell and atoms, written as CIF:
```
data_AlCu2Ni
_chemical_formula_sum 'Al1 Cu2 Ni1'
_cell_length_a 4.067
_cell_length_b 4.067
_cell_length_c 4.067
_cell_angle_alpha 60.00
_cell_angle_beta 60.00
_cell_angle_gamma 60.00
_space_group_name_H-M_alt 'P 1'
_space_group_IT_number 1
loop_
_space_group_symop_operation_xyz
'x,y,z'
loop_
_atom_site_label
_atom_site_fract_x
_atom_site_fract_y
_atom_site_fract_z
Al1 0.000 0.000 0.000
Cu1 0.250 0.250 0.250
Cu2 0.500 0.500 0.500
Ni1 0.750 0.750 0.750
```


(2)
DFT (PBE) results for an optimized crystal structure of NdSmTe3Au.

Computed properties:
**Calculated total energy**: -57.28 eV for the cell shown

Cell and atoms, written as CIF:
```
data_NdSmTe3Au
_chemical_formula_sum 'Nd2 Sm2 Te6 Au2'
_cell_length_a 7.775
_cell_length_b 7.775
_cell_length_c 11.150
_cell_angle_alpha 90.00
_cell_angle_beta 90.00
_cell_angle_gamma 148.60
_space_group_name_H-M_alt 'P 1'
_space_group_IT_number 1
loop_
_space_group_symop_operation_xyz
'x,y,z'
loop_
_atom_site_label
_atom_site_fract_x
_atom_site_fract_y
_atom_site_fract_z
Nd1 0.000 0.000 0.000
Nd2 0.000 0.000 0.500
Sm1 0.224 0.776 0.750
Sm2 0.776 0.224 0.250
Te1 0.109 0.891 0.250
Te2 0.345 0.655 0.057
Te3 0.345 0.655 0.443
Te4 0.655 0.345 0.557
Te5 0.655 0.345 0.943
Te6 0.891 0.109 0.750
Au1 0.470 0.530 0.250
Au2 0.530 0.470 0.750
```


(3)
DFT (PBE) results for an optimized crystal structure of ZrZn.

Computed properties:
**Calculated total energy**: -60.14 eV for the cell shown

Cell and atoms, written as CIF:
```
data_ZrZn
_chemical_formula_sum 'Zr6 Zn6'
_cell_length_a 4.531
_cell_length_b 9.868
_cell_length_c 5.091
_cell_angle_alpha 90.00
_cell_angle_beta 90.00
_cell_angle_gamma 90.00
_space_group_name_H-M_alt 'P 1'
_space_group_IT_number 1
loop_
== The article goes on ==
A third reason might be health-related. People who have been very loyal and have put their energy at the service of some cause, might get exhausted. They might get exhausted because they feel there is no appreciation for their efforts. At a certain moment they turn their energy against the very cause they have been fighting for. This is the essence of burn-out. If someone is in that case, the only thing a company should do, is take care of that person.
The Value of going against the Grain
Going against the grain means that the person willingly takes actions that are different from those that are expected. It goes beyond voicing dissidence. It’s like the salmon: going against the stream to reach a different target than the water. Most fish follow the current, the salmon does not. The energy the salmon needs to go against the current is tremendous. It takes skill and perseverance to do that. It’s just the same for people who go against the grain.
It takes skill and perseverance to be a salmon.
Companies need people who go against the grain. The reason is simple. These are people that are often the moral compass. They challenge mainstream ideas and do not take anything for granted. Oh yes, they are difficult to manage. But having them in your company creates value. Acknowledging their energy will simply give them more energy.